### Data
/*
A relaxed structure of Ga2FeCo, computed with PBE-GGA.

The structure in POSCAR format:
```
Ga2FeCo
1.0
-0.632 -2.013 -1.977
-0.965 -1.750 2.090
-5.303 2.234 -0.578
Ga Fe Co
2 1 1
Direct
0.500 0.500 0.250
0.500 0.500 0.750
0.000 0.000 0.500
0.000 0.000 0.000
```

Summary:
- Total DFT energy (no corrections): -5.583 eV/atom
- E_form: -0.7 eV/f.u.
*/

### Job
Please set down the contents further above from the first line to the one with "eV/f.u." without altering anything.

### Done
A relaxed structure of Ga2FeCo, computed with PBE-GGA.

The structure in POSCAR format:
```
Ga2FeCo
1.0
-0.632 -2.013 -1.977
-0.965 -1.750 2.090
-5.303 2.234 -0.578
Ga Fe Co
2 1 1
Direct
0.500 0.500 0.250
0.500 0.500 0.750
0.000 0.000 0.500
0.000 0.000 0.000
```

Summary:
- Total DFT energy (no corrections): -5.583 eV/atom
- E_form: -0.7 eV/f.u.